HRM Session 7: Visionary Design Systems

Topline: VDS sells high end CAD systems alongside customization, integration and training services. As regards employment, the philosophy is empowerment combined with high rewards. Company has been lauded by media, but is currently having difficulties with a critical division – Product Data Management.

Business Context:

CAD (Computer Aided Design) tools have revolutionized product design and workflow processes since their introduction in the early 1970s

·  Changes design process from two dimensional to three dimensional, significantly reducing design time by eliminating the need to draw product from all angles and modify each drawing every time there was a change

·  Although systems were expensive at the outset, by 1994 a basic system could cost as low as $7500.

·  By 1990s the CAD market is segmented. Low price products are also low margin. High end products include additional functionality, eg solids modeling, and retail for up to $75,000 per seat. High end is 25% of the market. High end CAD systems usually required a partner company to integrate and train the purchaser

Broader applications were developed off the back of CAD, further streamlining the product design process

·  Engineering Analyis Tools: computer simulations of testing (eg heat, breakability etc) to detect design flaws earlier and save on costs of real testing. Significantly reduces length of typical product design cycle

·  Product Data Management: stores information such as marketing info or current input prices in connection with the design so that all can be instantly updated. Dramatically improves company ability to manage data. Note that this market is not yet really operational – companies are investing but noone yet earning

Visionary Design Systems

Strategy is to develop a long term relationship with customers through which they will sell high end HP CAD software and provide integration, customization and training services, helping customers restructure their design process and get the most out of their CAD systems.

·  Founded by ex-HP people, including #1 CAD salesman in the world

·  11 offices, each separate profit centre

·  20 sales reps, 25 Applications Engineers, 3 software engineers, 20 admin employees and 7 Specialists

o  Specialist: hired within a field, eg analysis tools, Product Data Management, computer systems/networking

·  Projects typically begin with development of customized CAD interface

Coming generation of mechanical engineering processes labeled Vision 2000 by VDS founders

HR Systems

Founding Beliefs

·  Partnership approach: everyone to share profits, and be responsible for company success

·  Family sense, ethical, moral

·  Teamwork and cooperative spirit reinforced through hiring practices, eg new recruits interviewed by all members of the regional office

Mission, Goals, Tactics and Objectives

Document written after 3 years of rapid growth. Purpose was to engage all employees in development of company identity

·  Four categories in document: Customer Goal, Employee Goal, Financial Goal, Technology Goal, each discussed in terms of Goals, Tactics and Objectives. Each also had an action plan with managers name next to it

·  Allows employees to be empowered, eg sales rep discretion over resources used to make a sale, but keeps empowerment consistent with the mission of the company


Defined as: developing a knowledge base in each employee of company, mission, goals and tactics, and plans that enables them to take action and make decisions consistent with the company strategy and values.

·  Decision-maker is the person with most knowledge about the issue

·  Keeps company closer to customers

·  Keeps employees happy

Factors for success

·  Align employee incentives with the company – ie make ‘em stockholders

·  Commissions and bonuses linked directly to performance goals

·  Atmosphere of friendliness and respect

·  Training for all new employees: business fundamentals, products, industry overview. The continued in educational lectures, group discussions week long sessions 3 x per year. Sales Reps and Engineers have 2 additional training sessions on specific topics (nb this makes employees more marketable)

·  Decentralize decision-making to empower employees – make them not want to leave

Compensation System/Base Salaries/Commissions/Bonuses

System designed to attract entrepreneurial people and align company’s incentives with employees

·  All FT employees get base salary, commission, annual bonus. Commission/bonus significant – in good year (1990-1993) employees would earn more than industry average; in bad year (1994) they would earn less, but were less likely to be laid off.

·  Base usually the same for each job type. Admin base salaries had been raised over 4 years, others had not

·  Total commission on any sale spread across the job types. Commission customized by job type to provide link between revenue flows an employee worked with and his/her tasks

o  Sales Reps: received a % revenue brought in with sales. Commissions are stepped according to sales band, can be up to 10%. In 1994, new plan introduced, splitting sales into total bookings, hardware sales and software sales to encourage reps to focus on higher margin products. Commission benchmarks did not change, no cap on total commission payable. Additional commission for sales of support services

o  Applications Engineers: Touch revenue streams by demonstrating software and through training sessions (foothold for future sales), therefore commission is earnt on consulting/training revenue (8%) and product sales (1-4%)

o  Administrative Employees: commission paid according to how they supported the company and contributed to sales

o  Specialists: commission plan customized by Specialist. System is flexible, eg PDM commission changed to better incent after-sales service where margin is 80% once it became apparent that sales commission was not doing this

·  Bonus – typically 10% of income and paid monthly, annually, quarterly

o  Monthly

§  Sales reps: 150 options distributed to 3 reps rewarding sales booked, new business booked and ideas for improving the company. Means that best Sales Reps are incented to stay

§  Applications Engineers: nearly identical to sales reps

§  Specialists and Admin: 50 share options for individual improvement or ideas that benefit company

Below is a cluster of 15 separate species, C50H65BClN18O2PS4 in total in a non-equilibrium geometry, with properties calculated with the ωB97M-V functional and the def2-TZVPD basis.

XYZ file:
```
142
Properties=species:S:1:pos:R:3:forces:R:3
N -3.0900 -5.0869 1.5554 2.69 1.27 2.07
B -1.5996 -4.9428 1.3686 0.58 -0.71 -0.11
O -0.7213 -6.1361 1.2659 -1.15 1.65 1.92
C -0.8045 -3.4955 1.3109 1.27 3.57 -0.02
C -0.9987 -2.5413 2.5916 1.91 1.33 -2.43
C -0.2676 -1.1058 2.7279 0.73 -3.10 -3.91
Cl -0.5015 -0.0422 4.2087 0.44 -1.58 -2.36
C 0.6904 -0.6922 1.4887 -2.22 -2.71 0.71
C 0.8514 -1.6459 0.1860 -1.63 -0.81 2.86
C 0.1153 -3.0617 0.0468 -0.05 3.04 4.09
S 2.0172 -0.9531 -1.1303 0.23 -0.03 2.42
C 3.3933 -0.2153 -0.0639 1.58 1.36 2.73
C 4.9570 -0.3309 -0.4416 -1.44 1.27 3.28
C 5.4136 -1.0878 -1.7953 0.20 0.03 -0.46
C 6.3373 -0.1773 -2.7969 -0.09 -0.07 -0.34
C 5.9247 1.3898 -2.7278 0.08 -1.15 0.21
S 6.8801 2.2633 -4.1056 -0.08 0.74 1.33
C 5.9699 0.3297 0.6366 -3.44 -0.54 0.75
S 7.8240 0.2218 0.2851 -1.47 -0.49 0.92
C 5.4365 1.0345 1.9993 -1.90 -0.55 -2.42
S 6.7028 1.7219 3.2184 -1.03 -0.23 -1.04
C 3.8875 1.1647 2.3399 0.38 -1.72 -2.58
C 3.2482 1.8831 3.6352 -1.43 2.57 2.04
C 2.6828 3.4033 3.5527 -0.12 -3.77 4.79
C 2.0630 3.8624 4.9656 0.79 -1.42 -0.55
C 2.0303 3.0033 6.2901 1.34 -0.91 -3.92
N 2.5535 1.6493 6.2973 -0.16 2.98 -4.02
C 3.0878 1.1720 5.0382 -0.11 0.96 -1.05
C 2.8589 0.5147 1.2840 3.83 -0.10 -0.28
N 1.3935 0.6190 1.6043 1.15 -1.35 -2.28
P 0.6101 1.9082 0.6735 -1.38 1.13 -0.70
O -0.8882 1.5398 0.1837 10.87 4.50 2.61
H -3.1822 -5.6897 2.4129 -0.28 0.20 -1.37
H -3.4016 -4.1409 1.8970 0.03 -1.17 -0.78
H -0.1926 -6.1813 2.1192 -0.64 0.24 -1.76
H -1.7006 -2.9052 3.4522 1.53 0.82 -1.75
H 0.2665 -3.7310 -0.8872 -0.42 1.48 1.94
H 4.4844 -1.4029 -2.4396 1.53 0.71 1.65
H 5.9964 -2.0873 -1.5981 -1.19 1.98 0.04
H 6.1616 -0.6277 -3.8678 0.29 1.04 1.94
H 7.4768 -0.2822 -2.5995 -2.08 0.19 -0.09
H 6.2268 1.7972 -1.6897 -0.72 -0.49 -2.02
H 4.7906 1.4717 -2.9322 1.84 0.09 0.46
H 7.3407 3.4434 -3.4705 -0.79 -1.54 -0.47
H 8.3113 -0.6622 1.2628 -1.01 0.81 -0.74
H 7.3088 2.8110 2.5885 -0.88 -1.09 -0.07
H 2.6939 4.0437 2.5961 0.00 -1.12 1.87
H 1.5934 4.9320 5.0164 1.01 -2.21 -0.09
H 1.5613 3.4297 7.2731 1.07 -0.94 -2.14
H 3.4705 0.0626 5.0588 -0.87 2.54 0.12
H 0.5795 3.0736 1.5519 0.81 -0.94 -0.38
H 1.3740 2.3352 -0.4901 0.49 -0.45 1.24
C 2.1795 -5.6958 -2.0078 -0.25 -0.14 -0.07
C 3.5121 -5.0865 -1.9184 0.37 0.21 0.04
N 4.5601 -4.6074 -1.8478 -0.80 -0.36 -0.05
H 2.1935 -6.7436 -1.6947 0.19 0.18 0.01
H 1.4565 -5.1780 -1.3725 0.35 -0.06 0.00
H 1.7914 -5.6682 -3.0300 0.25 0.09 0.08
C -4.6985 -0.2790 -0.1516 -0.43 -0.08 0.13
C -3.3588 0.3188 -0.0708 -0.23 -0.11 0.16
N -2.2998 0.7939 -0.0048 -10.74 -5.37 -2.16
H -4.6928 -1.3267 0.1628 0.21 0.14 -0.03
H -5.4146 0.2468 0.4872 0.24 0.06 0.04
H -5.0917 -0.2495 -1.1714 0.29 0.03 0.11
C -2.7064 0.8113 -4.2199 0.52 0.17 0.12
C -3.8162 -0.0320 -3.7608 -0.14 -0.11 0.06
N -4.6904 -0.6960 -3.3991 0.58 0.52 -0.38

o  Quarterly – only Sales Reps and AEs – used to encourage sales in strategic areas

o  Annual - more customized and awarded in cash

§  Sales reps: company wide bonus for exceeding goals; individual bonus for exceeding individual quota

§  Applications Engineers: similar to sales reps

§  Specialists and Admin: individually customized + company bonus

Stock Ownership

·  All employees own stock – those who joined earlier were awarded more

·  Almost 100% of employees earn additional options through the year

·  Held session to explain the value of the options when it became clear that employees did not really understand

Performance Reviews

·  Separate from compensation system, but allows employees to improve their performance and increase compensation

·  Annual reviews on anniversary of start date

·  7 page questionnaire completed by manager and employee. Covers general skills and product knowledge. Includes performance highlights and establishes objectives for the coming year

PDM: The Problem Area

The HR system does not seem to be incenting PDM specialists to act like owners – CAD sales exceeded expectations every year. PDM not yet able to support itself profitably, is not building VDS into a leader in the field. Management feels over involved.

Overview of Product

·  market predicted to grow from $352m in 1993 to $1.2B in 1998 (ie 30% annual growth) because tools provide critical advantage to engineering firms

·  Early leaders in the area are CAD vendors that began writing PDM software to accompany CAD products, and independent PDM suppliers. HP, IBM, Digital, Anderson Consulting all getting in on the act too

·  Fred Bulatao hired from HP to lead the charge. Established a repuation in the field at HP. Incented with 10% PDM consulting revenues, 8% training revenues, 1.5% PDM software sales


·  Customers are satisfied with quality but sales volumes are low

·  Not recognized in industry as a player in the area

·  Fred always seeking consensus or asking permission rather than just doing it

·  Hired a new specialist, Bill Braxton to help Fred but same problems continue to exist

Fred Bulatoa’s opinion

Believes that this is a nascent industry that needs to be supported with software development hours and sales commissions

·  Feels they are underesourced because cannot support consulting staff

·  Believes sales process is difficult – new language and other VDS staff are not knowledgeable about it. Currently training sales reps 1:1 because not included adequately in training program

·  Feels compensation structure unfair – companies choose VDS because they want PDM in 2 years time, but he gets no commission for that

·  Customers cut the consulting time, because product is expensive – believes VDS should develop a software program that allows companies to get started with minimal consulting time, but he has not been given development hours

Bill Braxton’s opinion

·  For the product to work it requires integration with CAD – currently not enough resources to integrate

·  Need to develop infrastructure of capabilities before sales will come. Different to CAD where VDS already had a product, a trained sales staff, clients and suppliers.

·  Sales people not adequately educated